WrestleMania 21: WrestleMania goes Hollywood. It also crowns the next generation of top stars and sees the birth of a mainstay in the Money in the Bank concept and features some classic matches, both good and bad.

    Lillian Garcia sings ‘America the Beautiful’ to kick the show off, the first person to do this role twice. A lot of shots of the military in the accompanying video package. We’re at the Staples Center in Los Angeles, so the theme is Hollywood. The build up has been full of movie parodies from various wrestlers, we get some clips before a final video plays of Steve Austin in ‘Gladiator’. It’s one of the most interesting marketing campaigns for WrestleMania the company ever did. Jim Ross & Jerry Lawler are on commentary for Raw, Michael Cole & Tazz for SmackDown.

    WrestleMania 21: Rey Mysterio vs Eddie Guerrero

    The two co-holders of one set of Tag Team Championships collide in another chapter of their long running, occasionally friendly, rivalry. At this point they’re in a friendly stage, but Guerrero has pushed for this match to try and prove himself against his partner. Mysterio is wearing a different version of his usual WrestleMania attire, it’s normally comic book inspired, here it is a hybrid of the US and Mexican flags.

    An immense amount of chemistry on show right from the off. Some brilliant technical exchanges of holds mixed with some speed and high flying. It’s a rarity to see Guerrero even at this point in his career with such a size advantage and he plays the role well. Against most opponents Guerrero would be the one trying to up the pace, here against Mysterio he’s trying to slow it down more often than not.

    That slower pace works for Guerrero as he takes over with a series of different submission holds, moving from body part to body part. Mysterio manages to get some separation and hits a ‘corkscrew plancha’ to the floor. The two men trade attempts at the ‘three amigos’ suplexes before Mysterio misses a ‘619’. Guerrero then manages to hit the ‘amigos’ but misses with a ‘frog splash’. A further trading of finisher attempts before Mysterio manages to surprise Guerrero with a roll up to pin and win.

-- Quantum chemistry results, as found in the file --
<<<
Entry 1:
Density functional theory data (ωB97M-V/def2-TZVPD) for a 8-piece molecular cluster, C14H44N4O8 overall.

Computed properties:
SMILES string   NC(N)=O.NC(N)=O.CC(C)O.CC(C)O.CC(C)O.CO.CO.CO
Charge   0
E_LUMO   0.06 eV
Energy relative to the best compared isomer or geometry (same formula, charge and spin)   185.01 kcal per mole
Spin multiplicity   1

Positions of all 70 atoms, in Å:
O1 2.6933 -0.4954 2.2831
O2 2.3729 -0.1164 -0.3377
O3 -3.1385 2.9971 1.9830
O4 4.6417 -2.9058 1.7152
O5 2.5334 -1.2052 -4.1876
O6 -0.3516 -0.2918 -5.6891
O7 -2.0046 -0.1240 -3.3942
O8 -1.9402 -2.6097 2.0442
N1 1.3927 0.5950 3.9636
N2 1.0356 -1.7133 -2.3223
N3 0.4283 -2.2865 -4.1740
N4 1.8084 -1.3785 4.4264
C1 -1.7112 0.2165 -2.2462
C2 -1.2298 -0.4838 1.4230
C3 3.5117 -3.2282 0.8910
C4 -2.1980 4.1717 3.8569
C5 -1.2694 -1.9759 1.2082
C6 -2.1766 3.7781 2.3916
C7 -1.4695 1.6969 -2.0764
C8 0.1239 -2.5479 1.1866
C9 0.3997 0.8909 -5.3288
C10 -0.9632 2.9153 2.0948
C11 1.8711 1.1313 -0.6255
C12 1.9655 -0.4488 3.5224
C13 -3.0316 -0.1060 -1.5375
C14 1.4039 -1.7341 -3.5945
H1 2.5085 1.8612 -0.1107
H2 -1.8207 3.3193 4.4509
H3 1.7099 -1.2576 -1.7430
H4 0.7763 -1.9917 0.5277
H5 1.4803 -1.2736 5.3574
H6 -1.7052 -2.2016 0.2583
H7 1.4841 1.3838 3.4025
H8 -2.2343 2.3623 -2.4151
H9 -3.2299 4.5250 4.0729
H10 -2.2888 4.7220 1.7556
H11 -1.4946 1.9426 -0.9847
H12 -0.7992 -0.0354 0.5576
H13 3.6735 -3.8061 -0.0283
H14 0.9784 1.1729 -0.0730
H15 0.9787 0.7157 4.8883
H16 0.7060 -2.3563 2.1124
H17 -2.1450 0.0262 1.6902
H18 -0.8151 2.1220 2.8160
H19 -3.9040 0.1393 -2.0954
H20 1.4435 0.9603 -5.6084
H21 0.5289 -2.5050 -5.2025
H22 3.0047 -2.4003 0.5728
H23 2.7903 -3.8378 1.3850
H24 2.5647 -0.3428 0.5482
H25 0.5034 0.8633 -4.2613
H26 -1.4576 4.9784 4.0051
H27 -0.0519 1.8009 -5.7577
H28 -0.9720 -0.4221 -1.8113
H29 0.1358 -2.0382 -1.9414
H30 -3.1898 -1.1894 -1.3749
H31 0.2564 -3.5411 0.8971
H32 -0.1039 3.5057 2.2837
H33 4.8351 -1.9907 1.6214
H34 1.6130 1.3386 -1.7233
H35 -3.2941 3.1854 1.1066
H36 -3.0813 0.4473 -0.6277
H37 -0.4566 -0.2340 2.1778
H38 -1.2702 -0.5672 -3.8985
H39 -0.4433 -2.6268 -3.7439
H40 -2.8055 -2.8699 1.6766
H41 -0.4950 1.9711 -2.4083
H42 -0.8056 2.5733 1.0786
H43 2.2854 -2.2061 4.1369
H44 -0.0911 -0.9642 -5.0468

Entry 2:
Density functional theory data (ωB97M-V/def2-TZVPD) for one molecule with the formula CH2ClFP2.

Computed properties:
Charge   0
E_LUMO (alpha / beta)   -0.10 / -2.97 eV
Energy relative to the best compared isomer or geometry (same formula, charge and spin)   17.12 kcal per mole
Spin multiplicity   3
Expectation value of S²   2.009

Positions of all 7 atoms, in Å:
Cl1 3.8200 0.2397 0.5221
P1 1.4545 1.1535 -0.9877
P2 -0.8334 0.8523 -0.1716
F1 -0.7483 1.7854 1.1616
C1 2.0576 0.1976 0.3101
H1 1.3920 -0.1473 1.1390
H2 -1.9446 1.7946 -0.8023

Entry 3:
Density functional theory data (ωB97M-V/def2-TZVPD) for a 2-piece molecular cluster, C3H6ClN2O2 overall.

Computed properties:
Charge   +1
E_LUMO (alpha / beta)   -8.10 / -8.10 eV
>>>

    The two would lose their tag titles within the next two weeks. They would have five more matches as their feud became deeply personal, including the custody of Rey’s son Dominik. Mysterio would win all of those matches except the last before Guerrero died in November of 2005, aged just 38.

    JBL and Triple H bump into one another backstage and share some tense words as their two brand’s respective top champions. And Ric Flair gets a ‘woo’ in there.

    WrestleMania 21: Money in the Bank Ladder Match
    Edge vs Chris Jericho vs Shelton Benjamin vs Chris Benoit vs Christian vs Kane

    The first in a long line of Money In The Bank matches, a concept that shaped the way the company worked for a long time. Not only does the winner become (theoretically) instantly a much bigger threat to the main event, but the match being on WrestleMania gave the company a way to feature more talent in a meaningful match setting. It’s a stacked line up for the first ever edition, everyone in the match being a current, former or future champion. For Kane’s entrance a set of ladders on the stage are set on fire.

    Immediate chaos as the participants who aren’t Kane all team up to try and beat down Kane. You can already tell that it’s going to be a wild and crazy match. There’s a sequence early on where most of the wrestlers (including Kane) dive to the outside onto a growing mass of people. A classic of multi person matches to this day. With this being the inaugural edition, spots that might become passe in later years still have their novelty. There’s a cool little moment where Edge & Christian reunite briefly to take Kane down.

    As is the norm in these sorts of match, everyone gets their chance to shine. Shelton Benjamin looks a potential world champion in his run, strange to think he’s the only man in the match to never reach that pinnacle. Everyone bar Kane climbs ladders in the ladder but then is either falls off or is knocked down. Edge takes a ‘T-Bone suplex’ from Benjamin off the ladder, small margin of error and well executed. In an iconic moment, Benjamin runs up a diagonal ladder and clotheslines Jericho from the top, that will be replayed in his highlight reel for all time.

    Christian’s running buddy, his ‘Problem-Solver’, comes in and gives Christian a ride on his shoulders to try and reach the briefcase. A brief call-back to the time Rhyno did the same for Christian that is cut off by Kane, who pushes the ladder over. Benoit hits a diving headbutt off a ladder onto Kane and busts himself open. It looks like Benoit might get the victory but he is knocked from the ladder by Edge, who climbs and wins.

    It’s a bit sloppy at times, the style has yet to be defined and they’re clearing trying all sorts of ideas. But it’s still compelling car crash entertainment that gives everyone involved a spotlight. Given the concept has lasted until the present day, this was clearly a very influential match, it would get more refined with time. Edge held onto the briefcase until 6th January 2008 when he cashed in to become WWE Champion.

    Unfortunate historical oddity Eugene appears and walks down to the ring. He says some words. It’s not aged particularly well. Speaking of which, he’s interrupted by Muhammad Hassan. The angry Arab-American played by an Italian-American berates the crowd and Eugene. He and Daivari start to beat up Eugene before Hulk Hogan makes the save. To a loud ovation Hogan beats up both Daivari and Hassan and poses. It was certainly something that happened, a way to get Hogan on the show after his Hall of Fame induction at least.

    WrestleMania 21: The Undertaker vs Randy Orton

    The Streak is under serious threat for the first time since it’s acknowledgement as The Undertaker takes on ‘The Legend Killer’ Randy Orton. The feud has got personal, including Randy’s father Bob Orton Jr. A solid video package outlining this leads into the Undertaker’s entrance, flanked by flaming torch carrying Druids. It’s a spectacular entrance, strange to see him come out before Orton but it works.

    Randy starts off evasive, trying to keep the distance between him and Undertaker. Nice, even opening with both men showing their athleticism, until Undertaker slows the pace with some big strikes. This puts Undertaker in control, enjoying the benefits of his size and power advantage with some of his ‘vintage’ offense. Orton takes control himself after Taker misses a big boot into the corner and takes a spill to the outside. They trade some offense, and some pinfall attempts before Taker takes charge yet again.

    Orton gets a few moments of hope but can’t hit any of his major offense, just managing to stay alive through a ‘Dragon Sleeper’ and going for some desperate pinfalls. Orton’s desperation works well, he knows he’s outmatched in power so fights from underneath very well. He shows his inexperience though by taunting Undertaker whilst on top. The referee gets knocked down and Bob Orton Jr. interjects himself with his famous cast, The Undertaker kicking out at two after Orton revives the referee.

    Undertaker dispatches of Bob Orton but gets caught with an ‘RKO’ out of a Chokeslam attempt, for a very close near fall. Even in 2005 seeing the innumerable ways that Randy could hit the ‘RKO’ is always interesting. Orton gets cocky though and tries to hit his own ‘Tombstone Piledriver’ but Undertaker reverses it into one of his own and wins to continue the Streak.
    The first true classic of The Undertaker’s Mania Streak, there was a real feeling that Orton could win at any point, and he put in a great performance to make it feel possible. The feud would continue for the rest of the year, Orton winning at SummerSlam before Undertaker won the feud inside Hell in a Cell in December.

    WrestleMania 21: Trish Stratus vs Christy Hemme – WWE Women’s Championship

    Hemme had won the first real Diva Search the previous year and used that opportunity to challenge Trish Stratus for the Women’s Title. The added presence of Trish’s rival Lita in Hemme’s corner seemingly adds some tension but she doesn’t get properly involved despite being at ringside.
    Unfortunately, we’ve got Jerry Lawler on commentary, so it’s not going to be commentated on with any seriousness.

    Trish is disrespectful early on, lying down and taunting Hemme, who was competing in her first singles match that wasn’t a ‘lingerie pillow fight’. Hemme gets some offense in but it’s almost entirely Stratus. Lita’s one involvement, helping Hemme to her feet on the outside, ends with her getting pushed away. Hemme looks exactly like someone who is barely trained. The ‘Chick Kick’ from Stratus and retains her title. It’s not as pants as some previous Women’s title matches but there’s still plenty of a way to go before it’s presented as more than just titillating distraction.

    WrestleMania 21: Kurt Angle vs Shawn Michaels

    A deeply personal feud that’s built ever since Michaels eliminated Angle at the Royal Rumble. It has become an issue over who the best ‘wrestler’ in the company is between two men with a distinct legitimate claim to that title. This is the feud that gave us the classic ‘Sexy Kurt’ performance from Angle, one that is well worth checking out.

    Michaels starts the match off by simply slapping Angle in the face, riling up Angle straight away. Angle has the obvious mat wrestling advantage, but Michaels show he’s no slouch in that department by willingly getting involved in grappling exchanges. He even gains dominance at times. Commentary is amazed at Michaels’ tactics and how impressive he’s looking.

    Angle gets some separation with some strikes and Michaels immediately gets frustrated, starting to clear an announce table and take the match to the outside. Michaels looks like he’s about to put Angle through the table but Angle recovers by running Michaels’ back first into the ring post. This puts Angle back in charge briefly as the physicality of the match starts to ramp up. Michaels’ back becomes Angle’s focus as it becomes more of a fight, plenty of striking in comparison to the opening period.
    Angle brings his straps down but gets dumped to the outside hard, Michaels following him out with a ‘crossbody’ dive to the floor. Angle does manage to get back in position to tease a German Suplex from the apron to the floor, even if he never hit it ,it always looked terrifying. With Angle behind him, and the referee unsighted, Michaels hits a low blow followed by a springboard dive to Angle on the table. Back in the ring and the action is fairly even handed again, Angle bleeding from the mouth from something. Michaels hits some of his signature offense and sets up for the ‘Sweet Chin Music’, Angle catching the move into a ‘ankle lock’.  After an agonisingly long hold Michaels just about reaches the ropes. A great sequence follows where both men try for those moves again, Angle resorting to a simple pin at one point but getting a kick out.

    Angle goes for a ‘moonsault’ but misses it, Michaels rolling into the corner to evade it. Michaels goes for a diving elbow but takes a second rope ‘Angle Slam’ instead. Angle gets right in Michaels face with some trash talk and gets his by a surprise ‘Sweet Chin Music’, really well executed in such close quarters. A very close kick out. Michaels stalls thinking about his next move and gets caught in the ‘ankle lock’ again, a great example of how to fight the hold as Angle clings on to the ankle for dear life. It’s another agonisingly long hold, Michaels eventually tapping out.
    A brilliant match, a great merging of styles and an example of how to cycle through various styles within a single match. Great stuff as both men showed their versatility and amazing chemistry. The two would continue to feud until Angle left WWE in 2006.

    WrestleMania 21: Piper’s Pit – WrestleMania Edition

    Newly minted Hall of Famer Roddy Piper is here to host a special WrestleMania edition of Piper’s Pit. Piper intros his guest Steve Austin and manages to swear in the process. Austin hadn’t been seen since the previous years Mania so the ovation he gets is huge. Piper seems offended by Austin’s branding as a ‘rebel’ and slaps him the face right away, Austin returns one. Piper then turns it on its head and shows some respect. He also engages with the ‘What’ chants and talks back to them. It’s an entertaining back and forth, the ‘What’ chants don’t break the flow up too much but they are dumb. They’re interrupted properly by Carlito Caribbean Cool, who mocks them for not being ‘cool’. Carlito holds his own with the two legends when he makes it to the ring. Piper steals Carlito’s apple and spits it in his face, causing Carlito to attack him. Austin watches a second before making the save for Piper, the two men working together to beat up Carlito and throw him out of the ring. They share some beers before Austin hits a ‘Stunner’ on Piper.

    Yeah, it’s a segment where a legend comes back and beats up one of the current wrestlers, but it’s one of the more interesting versions of this trope. Carlito at least gets come verbal digs in before he gets beaten up. A pretty savage edit leads us into the next segment.

    WrestleMania 21: Akebono vs Big Show – Sumo Match

    That edit was covering up for the set up for the following ‘Celebrity’ match. A sumo match between Akebono, the first ever foreign-born Sumo to reach the rank of ‘Yokozuna’. The ring has been laid out like a sumo ring, with no ropes and a new mat. Both men are also wearing traditional garb.
    It’s a worked Sumo match, a shoot fight would have ended in seconds. It lasts a minute.
    If you’re interested in large men slamming into one another, you’ll probably have a great time, but that’s all there is to it. A strange diversion for the only major celebrity involvement on a Los Angeles WrestleMania.

    WrestleMania 21: John Bradshaw Layfield vs John Cena – WWE Championship

    JBL had been transformed from his former life as a career tag team wrestler not long after Mania XX and had been champion for 280 days since beating Eddie Guerrero. This was the longest such reign since Diesel in 1994/95. In the build up this became a battle of the streets against the boardroom, John Cena still having a bit of edge to him at this point. JBL had cost Cena his United States Championship and the two had spent weeks antagonising one another.

    JBL enters first, in a limousine with a police escort. $100 dollars with JBL’s face on pour down from the ceiling. John Cena comes out to his brand new ‘The Time is Now’ track (that would soundtrack the rest of his career).

    Not a tonne of finesse early on, it’s striking and power moves rather than technical exchanges. Commentary big up Layfield’s American Football career, making it sound more successful than it really was. Champion JBL dominates with his relative size advantage and edge in experience. Its not all that interesting, a lot of fairly plodding and basic offense from JBL, Cena getting only momentary shine.
    Even when the action spills briefly to the floor it doesn’t really pick up at all, it’s all relatively bland power work by JBL. Eventually Cena gets an extended comeback run. His offense isn’t much more exciting, but it’s at least charismatically executed. JBL tries and misses the ‘clothesline from hell’ and Cena catches him with an ‘FU’. Cena pins and wins for the first of what would eventually become 16 reigns as World Champion. That alone makes it a piece of history but the match itself is disappointing. It’s too one sided to be genuinely interesting.

    A glimpse back at the previous evening’s Hall of Fame ceremony, headlined by Hulk Hogan and Roddy Piper amongst others. Gene Okerlund enters the ring to introduce the class of 2004 to the Staples Center crowd in person.

    WrestleMania 21: Triple H vs Batista – World Heavyweight Championship

    A match that’s been coming ever since the formation of Evolution. The first to break away from that group was Randy Orton but his feud with Triple H had fizzled out long before it reached Mania. Up stepped Batista, who won the Royal Rumble in January and shockingly turned on Triple H to take his shot at the World Heavyweight Championship. A pretty good video package really underscores the stakes and the history at stake.

    Triple H is the second World Champion in a row to enter for their match first. He’s soundtracked by Motorhead, playing on stage (unintelligibly). Ric Flair joins him at ringside once HHH makes it there.
    A lot of facing off and staring early on, a slow tentative start. They lock up for a long time, jostling and trying to overpower each other. A lot of power moves and posing, Batista with the slight advantage in both areas. Batista gets a big run early on, showing off his size advantage, before a Triple H knee forces him to the outside. It’s HHH’s turn to take over for a while.

    Flair takes advantage of a distracted referee to choke Batista on the apron for a moment, Triple H now firmly in control. It’s not monumentally exciting stuff, it has that distinct air of Triple H forced epic-ness that just makes things slow and overly methodical. The most dynamic moments during HHH’s dominant portions are the interventions of Flair from the outside.

    The crowd are much more awake when Batista gets his rare moments to shine, Triple H cutting them off a bit too readily and they don’t often get to breathe or really have any impact. HHH seems to temporarily forget that he is, in fact, Triple H and goes to the top rope. Batista knocks him out of the air with a clothesline and the challenger looks like he might get a chance to come back. It doesn’t last. More teased Batista comebacks don’t stick, Batista getting thrown into the steel steps before catapulting Triple H into the ring post. Triple H is bleeding, and stumbles around ringside in an unintentionally comical visual.

    This finally gives Batista a proper run for the first time since the early stages of the match. The blood now pouring off Triple H’s forehead as Batista physically bullies him has a strange effect of making the champion look somewhat sympathetic. Ric Flair gets involved with the referee indisposed but takes a ‘Spinebuster’ for his trouble. With the referee dealing with Flair Triple H uses a sledgehammer on Batista, who kicks out. ‘Spinebuster’ to Triple H, who fights out of a ‘Batista Bomb’ attempt to deliver a low blow. A ‘Pedigree’ attempt is countered by Batista, who manages to hit the ‘Batista Bomb’ to pin and win. Batista wins his first World Championship.

    Slightly better than the previous World Title match but it’s still an underwhelming match that is more historically important than it is good. It’s worth watching as a moment in time but it’s not a particularly interesting match.

**Quantum chemistry results, as found in the file**
+++
1.
Below is one molecule with the formula C6H5Cl2NO4S in a non-equilibrium geometry, with properties calculated with ωB97M-V with the def2-TZVPD basis set.

Geometry (Å):
Cl 0.74 3.36 -0.64
Cl -2.96 -1.85 -0.80
S -1.66 -0.27 -1.01
O -2.89 0.31 1.26
O -1.36 0.76 2.67
O -2.31 0.97 -1.28
O -0.64 -0.74 -1.89
N -1.73 0.32 1.61
C -0.82 -0.20 0.71
C 2.02 -0.58 -0.56
C 0.24 -1.00 1.00
C 2.00 0.91 -0.51
C 0.84 1.70 -0.53
C 1.29 -1.46 0.05
H 3.04 1.45 -0.56
H 2.77 -1.11 -1.09
H -0.09 1.15 -0.48
H 1.37 -2.47 -0.07
H 0.17 -1.24 2.11

LUMO energy: -1.8 eV
Total energy: -1905.6697 Ha
Total charge: 0
SMILES string: O=[N+]([O-])/C(=C/C=C\C=C\Cl)S(=O)(=O)Cl
HOMO-LUMO gap: 0.281 Eh



2.
Below is a 2-piece molecular cluster, C6H5Cl3N2O overall in a non-equilibrium geometry, with properties calculated with ωB97M-V with the def2-TZVPD basis set.

Geometry (Å):
Cl 2.28 -1.34 2.37
Cl -2.53 0.24 1.56
Cl -0.82 -1.75 -2.24
O 2.50 -4.19 -0.65
N 3.24 -2.11 -1.27
N 2.64 -3.03 -0.83
C 0.52 -1.50 0.15
C 0.95 -0.87 1.33
C -0.78 0.44 -0.53
C -0.90 0.77 0.92
C -0.24 -1.00 -0.80
C 0.22 0.16 1.87
H 0.12 0.67 2.78
H -1.80 0.57 -1.06
H -0.07 0.96 -1.10
H -0.77 1.85 1.26
H 4.17 -2.25 -1.89

LUMO energy (spin up / spin down): -0.8 / -1.4 eV
Total energy: -1796.6905 Ha
Total charge: 0
HOMO-LUMO gap (spin up / spin down): 0.297 / 0.269 Eh



3.
Below is a 2-piece molecular cluster, C6H5Cl3N3 overall in a non-equilibrium geometry, with properties calculated with ωB97M-V with the def2-TZVPD basis set.

Geometry (Å):
Cl 3.92 1.62 -1.68
Cl -0.79 2.44 0.78
Cl 3.39 -1.43 -1.88
N -1.31 -0.39 -0.27
N -0.98 0.56 -3.10
N -1.26 1.08 -2.16
C 0.27 1.44 -0.08
C 1.03 -0.92 -0.77
C 1.43 1.90 -0.67
C 2.20 -0.48 -1.27
C 0.03 -0.07 -0.04
C 2.40 0.97 -1.13
H -1.95 0.16 0.18
H 0.73 -1.94 -0.72
H 1.63 2.98 -0.49
H 0.60 -0.43 0.87
H -1.57 -1.31 -0.01

LUMO energy (spin up / spin down): -6.3 / -6.3 eV
Total energy: -1776.1734 Ha
Total charge: +1
HOMO-LUMO gap (spin up / spin down): 0.281 / 0.281 Eh



4.
Below is C6H5ClNO2Ti as an isolated structure in a non-equilibrium geometry, with properties calculated with ωB97M-V with the def2-TZVPD basis set.

Geometry (Å):
Ti -5.49 3.75 1.03
Cl -2.78 2.89 1.21
O -0.42 -2.27 -2.47
O -1.83 -0.67 -2.25
N -0.83 -1.26 -1.88
C 1.29 -1.36 -0.49
C -0.35 0.21 0.12
C 0.53 0.79 0.99
C 2.21 -0.84 0.40
C 0.04 -0.81 -0.72
C 1.81 0.26 1.10
H 1.51 -2.14 -1.20
H 3.15 -1.36 0.56
H -1.37 0.59 0.13
H 0.07 1.45 1.71
H 2.47 0.78 1.77

LUMO energy (spin up / spin down): -1.2 / -0.9 eV
Total energy: -1746.3191 Ha
Multiplicity: 4
Total charge: 0
HOMO-LUMO gap (spin up / spin down): 0.248 / 0.319 Eh



Please write out number 4 again, unchanged.
Below is C6H5ClNO2Ti as an isolated structure in a non-equilibrium geometry, with properties calculated with ωB97M-V with the def2-TZVPD basis set.

Geometry (Å):
Ti -5.49 3.75 1.03
Cl -2.78 2.89 1.21
O -0.42 -2.27 -2.47
O -1.83 -0.67 -2.25
N -0.83 -1.26 -1.88
C 1.29 -1.36 -0.49
C -0.35 0.21 0.12
C 0.53 0.79 0.99
C 2.21 -0.84 0.40
C 0.04 -0.81 -0.72
+++
**The quantum chemistry results stop here**


    A solid enjoyable show. After the overstuffed and very uneven Mania XX the company retreated a little and focused up. The two main event World Title matches aren’t brilliant as matches, what they are are important moments for the direction the company was going to take for the best part of the next decade. The introduction of the Money in the Bank concept would end up being a huge part of WWE storytelling right to the present day. And the Undertaker’s Streak becoming a major part of WrestleMania allure would last for another 9 years.